Blended Taxation

Most portfolios are subject to multiple taxation methods and earn a portion (p) of the return from interest (i), dividends (d), and realized capital gains (rcg). In this case, blended taxation should be used to assess the impact of taxes on after-tax returns. The reason is that the different types of income are typically subject to different tax rates.

On this page, we provide all the necessary information to apply a blended taxation analysis. To this end, we need to calculate the weighted average realized tax rate (wartr), the return after realized taxes (r*), and the effective capital gains tax rate. An Excel spreadsheet that implements all the necessary formulas is available at the bottom of the page.

Blended taxation formulas

Before we continue, we should distinguish two cases.

  • If all capital gains are realised and taxed each year, then the three portions of the return will sum to a 100% and the tax rate is simply a weighted average of the component tax rates
  • If not all capital gains are realised, we have a portion of the return that is unrealized capital gains (or losses). 

**These data records were left in the article by mistake**
- - -
Density functional theory data (GGA+U) for a geometry-optimized MgV8O8F8 structure.

Properties
Energy, eV/atom: -6.97
Excess energy over the best structure of this formula in the dataset, eV per atom: 0.000
ΔE_f, eV per atom: -2.710
Total magnetic moment, μB per cell: 18.00
MP2020-corrected energy, eV per atom: -7.88

Cell and atoms, written as POSCAR:
```
MgV8O8F8
1.0
1.185 4.314 1.928
6.945 -4.781 6.240
4.384 0.347 -3.652
V F O Mg
8 8 8 1
direct
0.992 0.247 0.195 V
0.483 0.275 0.724 V
0.013 0.002 0.043 V
0.516 0.731 0.267 V
0.977 0.486 0.494 V
0.510 0.978 0.520 V
0.481 0.519 0.989 V
0.009 0.762 0.750 V
0.811 0.823 0.044 F
0.819 0.574 0.777 F
0.327 0.913 0.226 F
0.674 0.078 0.807 F
0.181 0.426 0.206 F
0.186 0.669 0.472 F
0.331 0.178 0.440 F
0.665 0.335 0.016 F
0.312 0.436 0.709 O
0.689 0.802 0.535 O
0.697 0.558 0.272 O
0.842 0.068 0.316 O
0.182 0.174 0.915 O
0.305 0.682 0.978 O
0.829 0.306 0.530 O
0.152 0.937 0.729 O
0.000 0.121 0.616 Mg
```

----------

Material: As2PHCl3F11
Method: DFT, PBE
State: optimized geometry

POSCAR file:
```
As2PHCl3F11
1.0
24.6370 0.0000 0.0000
0.0000 8.7572 0.0000
0.0000 0.0000 12.2066
As P H Cl F
16 8 8 24 88
Direct
0.8365 0.2500 0.6227
0.3365 0.2500 0.8773
0.1635 0.7500 0.3773
0.6635 0.7500 0.1227
0.8255 0.2500 0.9297
0.3255 0.2500 0.5703
0.1745 0.7500 0.0703
0.6745 0.7500 0.4297
0.9030 0.7500 0.1236
0.4030 0.7500 0.3764
0.0970 0.2500 0.8764
0.5970 0.2500 0.6236
0.9353 0.7500 0.4295
0.4353 0.7500 0.0705
0.0647 0.2500 0.5705
0.5647 0.2500 0.9295
0.7450 0.2500 0.3149
0.2450 0.2500 0.1851
0.2550 0.7500 0.6851
0.7550 0.7500 0.8149
0.4890 0.2500 0.3209
0.9890 0.2500 0.1791
0.5110 0.7500 0.6791
0.0110 0.7500 0.8209
0.7260 0.2500 0.4240
0.2260 0.2500 0.0760
0.2740 0.7500 0.5760
0.7740 0.7500 0.9240
0.4572 0.2500 0.4169
0.9572 0.2500 0.0831
0.5428 0.7500 0.5831
0.0428 0.7500 0.9169
0.7885 0.0671 0.2906
0.2885 0.4329 0.2094
0.2115 0.5671 0.7094
0.7115 0.9329 0.7906
0.2115 0.9329 0.7094
0.7115 0.5671 0.7906
0.7885 0.4329 0.2906
0.2885 0.0671 0.2094
0.6819 0.2500 0.2179
0.1819 0.2500 0.2821
0.3181 0.7500 0.7821
0.8181 0.7500 0.7179
0.5344 0.0672 0.3199
0.0344 0.4328 0.1801
0.4656 0.5672 0.6801
0.9656 0.9328 0.8199
0.4656 0.9328 0.6801
0.9656 0.5672 0.8199
0.5344 0.4328 0.3199
0.0344 0.0672 0.1801
0.4404 0.2500 0.1948
0.9404 0.2500 0.3052
0.5596 0.7500 0.8052
0.0596 0.7500 0.6948
0.8597 0.2500 0.4875
0.3597 0.2500 0.0125
0.1403 0.7500 0.5125
0.6403 0.7500 0.9875
0.7869 0.1100 0.5974
0.2869 0.3900 0.9026
0.2131 0.6100 0.4026
0.7131 0.8900 0.0974
0.2131 0.8900 0.4026
0.7131 0.6100 0.0974
0.7869 0.3900 0.5974
0.2869 0.1100 0.9026
0.8813 0.1080 0.6668
0.3813 0.3920 0.8332
0.1187 0.6080 0.3332
0.6187 0.8920 0.1668
0.1187 0.8920 0.3332
0.6187 0.6080 0.1668
0.8813 0.3920 0.6668
0.3813 0.1080 0.8332
0.8066 0.2500 0.7732
0.3066 0.2500 0.7268
0.1934 0.7500 0.2268
0.6934 0.7500 0.2732
0.7552 0.2500 0.9488
0.2552 0.2500 0.5512
0.2448 0.7500 0.0512
0.7448 0.7500 0.4488
0.8398 0.2500 0.0697
0.3398 0.2500 0.4303
0.1602 0.7500 0.9303
- - -

If there is a deferred tax portion, then the annual tax rate computation follows the following steps.

First, we calculate the weighted average realised tax rate (wartr):

    $$ wartr = p_it_i + p_dt_d + p_{cg}t_{cg} $$

where the p values refer to the portions and the t values refer to the tax rates.

### Calculated crystals, as found in the file
# Mg5Bi, optimized geometry, DFT r²SCAN
data_Mg5Bi
_chemical_formula_sum 'Mg10 Bi2'
_cell_length_a 5.207
_cell_length_b 3.358
_cell_length_c 16.419
_cell_angle_alpha 90.00
_cell_angle_beta 90.00
_cell_angle_gamma 90.00
_symmetry_space_group_name_H-M 'A m m 2'
_symmetry_Int_Tables_number 38
_symmetry_space_group_name_Hall 'A 2 -2'
loop_
_atom_site_label
_atom_site_fract_x
_atom_site_fract_y
_atom_site_fract_z
Mg1 0.000 0.000 0.000
Mg2 0.000 0.000 0.327
Mg3 0.000 0.000 0.662
Mg4 0.500 0.000 0.211
Mg5 0.500 0.000 0.553
Bi1 0.500 0.000 0.884
# - energy (eV/atom) = -13.23
# - crystal system = orthorhombic
# - size of the total moment (μB per atom) = 0.00

# Ba2SrI6, optimized geometry, DFT r²SCAN
data_Ba2SrI6
_chemical_formula_sum 'Ba8 Sr4 I24'
_cell_length_a 8.598
_cell_length_b 8.296
_cell_length_c 25.096
_cell_angle_alpha 90.00
_cell_angle_beta 92.80
_cell_angle_gamma 90.00
_symmetry_space_group_name_H-M 'P 1 21/c 1'
_symmetry_Int_Tables_number 14
_symmetry_space_group_name_Hall '-P 2ybc'
loop_
_atom_site_label
_atom_site_fract_x
_atom_site_fract_y
_atom_site_fract_z
Ba1 0.173 0.020 0.092
Ba2 0.270 0.055 0.761
Sr1 0.342 0.535 0.911
I1 0.032 0.749 0.313
I2 0.087 0.235 0.360
I3 0.137 0.709 0.478
I4 0.367 0.202 0.515
I5 0.424 0.713 0.160
I6 0.475 0.212 0.172
# - energy (eV/atom) = -25.92
# - crystal system = monoclinic
# - distance to the lowest polymorph of the same formula (eV per formula unit) = 0.23
# - size of the total moment (μB per atom) = 0.00

# LuInPt2, optimized geometry, DFT r²SCAN
data_LuInPt2
_chemical_formula_sum 'Lu4 In4 Pt8'
_cell_length_a 6.669
_cell_length_b 6.669
_cell_length_c 6.669
_cell_angle_alpha 90.00
_cell_angle_beta 90.00
_cell_angle_gamma 90.00
_symmetry_space_group_name_H-M 'F m -3 m'
_symmetry_Int_Tables_number 225
_symmetry_space_group_name_Hall '-F 4 2 3'
loop_
_atom_site_label
_atom_site_fract_x
_atom_site_fract_y
_atom_site_fract_z
Lu1 0.000 0.000 0.000
In1 0.000 0.000 0.500
Pt1 0.250 0.250 0.250
# - energy (eV/atom) = -41.97
# - crystal system = cubic
# - size of the total moment (μB per atom) = 0.00

# ZrB12, optimized geometry, DFT r²SCAN
data_ZrB12
_chemical_formula_sum 'Zr4 B48'
_cell_length_a 7.395
_cell_length_b 7.395
_cell_length_c 7.395
_cell_angle_alpha 90.00
_cell_angle_beta 90.00
_cell_angle_gamma 90.00
_symmetry_space_group_name_H-M 'F m -3 m'
_symmetry_Int_Tables_number 225
_symmetry_space_group_name_Hall '-F 4 2 3'
loop_
_atom_site_label
_atom_site_fract_x
_atom_site_fract_y
_atom_site_fract_z
Zr1 0.000 0.000 0.000
B1 0.000 0.170 0.330
# - energy (eV/atom) = -8.76
# - crystal system = cubic
# - size of the total moment (μB per atom) = 0.00

# NaSe2, optimized geometry, DFT r²SCAN
data_NaSe2
_chemical_formula_sum 'Na16 Se32'
_cell_length_a 10.303
_cell_length_b 10.303
_cell_length_c 11.992
_cell_angle_alpha 90.00
_cell_angle_beta 90.00
_cell_angle_gamma 90.00
_symmetry_space_group_name_H-M 'I -4 2 d'
_symmetry_Int_Tables_number 122
_symmetry_space_group_name_Hall 'I -4 2bw'
loop_
_atom_site_label
### End of the calculated crystals

Then the return after realized taxes is:

    $$ r^* = r(1-wartr) $$

Next, we calculate the net effect of any deferred capital gains on ultimate after-tax return as follows. First we calculate the effective capital gains tax rate

    $$ T^* = t_{cg} \cdot \frac{1-(p_i + p_d + p_{cg})}{1-wartr} $$


    $$ T^* = t_{cg}\cdot\frac{p_{\textrm{deferred cg}}}{1-wartr} $$

Finally, we can calculate the after tax value as follows:

    $$ FVIF_{AT} = (1+r^*)^n (1-T^*) + T^* - (1-B)t_{cg} $$

[These records of crystals were left in the page by mistake]
=====
A relaxed CrP2W crystal. Source: Materials Project, functional meta-GGA r2SCAN.

Structure (POSCAR):
```
CrP2W
1.0
3.1719 0.0000 0.0000
0.0000 6.0822 0.0000
0.0000 0.0000 5.5098
Cr P W
2 4 2
Direct
0.0000 0.0651 0.0000 Cr
0.0000 0.9349 0.5000 Cr
0.0000 0.2984 0.3312 P
0.0000 0.7016 0.8312 P
0.5000 0.1657 0.6984 P
0.5000 0.8343 0.1984 P
0.5000 0.4426 0.0179 W
0.5000 0.5574 0.5179 W
```

Values from the calculation:
spin magnetization = 0.00 μB/cell
energy of formation = -0.373 eV per atom
=====

where B equals the ratio of the cost divided by the current value and n is the number of years.

Example effective capital gains tax rate

The following figure illustrates all the necessary steps using a numerical example. The Excel template used to create the example is available at the bottom of the page.

Blended Taxation


We discussed a simple method to assess the impact of taxes on after tax returns if different portions of the return are taxed at different tax rates. Our approach allows us to take into account potential future tax liabilities coming from unrealised capital gains.

Download the Excel spreadsheet

Want to have an implementation in Excel? Download the Excel file: Blended Taxation example